928 resultados para Places-València
Over the last two centuries many major cities have undergone large-scale modernisation that has led to the growing sense of homogenisation associated with such locales across the globe. The fractal logic that is at the heart of so many urban settings, where the whole system is made up of parts that are identical to the whole, seems to serve in making anonymous everyday experiences. Public transport and its corresponding street furniture, if thoughtfully designed and planned, has the potential to form an integral element in the promotion of a sense of identity, interconnectedness and flow within a city. Furthermore, bus stops, benches, litter bins, curb-sides, posts and pavements, to mention a few, offer interesting cases to consider how people truly engage with contemporary urban spaces. These objects—part of routine and made familiar—are elements of daily lives that are ingredients towards visual and multi-modal experiences. In addition, these are places where individuals encounter sociality and materiality in ordinary and sometimes extraordinary ways. This paper uses a visual ethnographic approach towards exploring the human traces of routine activities that have an impact on the cityscape. An Investigation of these details found within the urban landscape lead us towards understanding how we engage with and navigate cities. This is essentially an urban archaeological study that looks to reveal how non-designed phenomenon in urban places can contribute to our image of a city, providing a reflection on homogeneity within the built environment. Our visual ethnography focuses on six major cities: two each in Britain, Europe and North America. The findings of this work illustrate through visual analyses three key characteristics: first, how urban spaces are transformed intentionally and unintentionally; second, how transformations are practical, functional, beautiful and sometimes ridiculous; third, how transformations reveal values around visual and multi-modal experiences inherent to people.
The important sedimentation of the Bay of Cam-Ranh rivers Suȏi Hai, Truong Suȏi, Suȏi Ca, Suȏi Tra Duc, Sȏng Can, Sȏng Trau from the Annamite Chain, provides hydrophilic vegetation (mangroves and swampy meadows) with a favorable habitat.
Physical places are given contextual meaning by the objects and people that make up the space. Presence in physical places can be utilised to support mobile interaction by making access to media and notifications on a smartphone easier and more visible to other people. Smartphone interfaces can be extended into the physical world in a meaningful way by anchoring digital content to artefacts, and interactions situated around physical artefacts can provide contextual meaning to private manipulations with a mobile device. Additionally, places themselves are designed to support a set of tasks, and the logical structure of places can be used to organise content on the smartphone. Menus that adapt the functionality of a smartphone can support the user by presenting the tools most likely to be needed just-in-time, so that information needs can be satisfied quickly and with little cognitive effort. Furthermore, places are often shared with people whom the user knows, and the smartphone can facilitate social situations by providing access to content that stimulates conversation. However, the smartphone can disrupt a collaborative environment, by alerting the user with unimportant notifications, or sucking the user in to the digital world with attractive content that is only shown on a private screen. Sharing smartphone content on a situated display creates an inclusive and unobtrusive user experience, and can increase focus on a primary task by allowing content to be read at a glance. Mobile interaction situated around artefacts of personal places is investigated as a way to support users to access content from their smartphone while managing their physical presence. A menu that adapts to personal places is evaluated to reduce the time and effort of app navigation, and coordinating smartphone content on a situated display is found to support social engagement and the negotiation of notifications. Improving the sensing of smartphone users in places is a challenge that is out-with the scope of this thesis. Instead, interaction designers and developers should be provided with low-cost positioning tools that utilise presence in places, and enable quantitative and qualitative data to be collected in user evaluations. Two lightweight positioning tools are developed with the low-cost sensors that are currently available: The Microsoft Kinect depth sensor allows movements of a smartphone user to be tracked in a limited area of a place, and Bluetooth beacons enable the larger context of a place to be detected. Positioning experiments with each sensor are performed to highlight the capabilities and limitations of current sensing techniques for designing interactions with a smartphone. Both tools enable prototypes to be built with a rapid prototyping approach, and mobile interactions can be tested with more advanced sensing techniques as they become available. Sensing technologies are becoming pervasive, and it will soon be possible to perform reliable place detection in-the-wild. Novel interactions that utilise presence in places can support smartphone users by making access to useful functionality easy and more visible to the people who matter most in everyday life.
Shows subways, elevated lines, and streetcar lines in Manhattan south of 120th Street.
Scale ca. 1:250,000.
Title from caption.
Pretende-se elaborar um modelo de apoio psicossocial dada a necessidade organizacional e da gestão dos recursos humanos afetos a esta resposta, demonstrando preocupação pela qualidade de vida dos indivíduos que lidam com vulnerabilidades indutoras de stress - visto que o presente estudo se desenvolve para a Sociedade Nacional da Cruz Vermelha: organização com cariz iminentemente social, estando na primeira linha da intervenção em incidentes geradores de stress, nas vítimas e nos profissionais que intervêm. Analisar-se-á o estado da arte dos modelos de intervenção psicossocial em incidentes e elaborarse-á proposta de modelo teórico a aplicar na CVP - considerando que a estrutura trabalha com e para pessoas, e que todos podem enfrentar fatores de vulnerabilidade. Recorreu-se à metodologia da entrevista sarni-diretiva da amostra relevante para o estudo; efetuou-se pesquisa bibliográfica exploratória; elaborou-se revisão da literatura multidisciplinar e crítica, viabilizando a construção do modelo de apoio psicossocial que pode aplicar-se à intervenção da Cruz Vermelha Portuguesa. ABSTRACT: lntend to elaborate model of psychosocial support given the need for organizational and management of human resources dedicated to this response, showing concern for the quality of life of individuals who deal with vulnerabilities that induce stress - because the present study develops for the National Society of the Red Cross organization eminently social nature, being the first line of intervention in incidents generating stress on the victims and the professionals involved. Analyze will be state of the art models of psychosocial intervention in incidents and draw will be proposed a theoretical model applied in the CVP - considering that the structure works with and for people, and that all may experience vulnerability factors. Resorted to the methodology of semi-directive interview sample relevant to the study, was carried out bibliographical research; elaborated multidisciplinary review of the literature and criticism, making the construction of the model of psychosocial support that may apply to the intervention of Portuguese Red Cross.
The cemeterial units, are places of social practices of everyday life and worship and the tomb where nostalgia can be externalized and the memory of the deceased revered. In Western societies we can find a category of artifacts meant to evoke the memory or honor the dead. In this paper we we mention three examples of products that enabled a reflection on the concepts that gave rise to their ways, and that risks to fit them into a new "material culture", in that it may have created a break with the traditional system codes and standards shared by companies, and its manifestations in relation to the physical creation of this category of products. This work offers a reflection on the Design Products.What probably makes it special is the field where it is located: the design of products in one post mortem memory. Usually made of granite rock or marble, have the form of plate or tablet, open book or rolled sheet. On one side have a photograph of the person who intend to honor and inscriptions. The thought of inherent design of this work put on one side the intricate set of emotions that this type of product can generate, and other components more affordable, and concerning the form, function and object interactions with users and with use environments. In the definition of the problem it was regarded as mandatory requirements: differentiation, added value and durability as key objectives.The first two should be manifested in the various components / product attributes. The aesthetic and material/structural durability of product necessarily imply the introduction of qualifying terms and quantitative weights, which positively influence the generation and evaluation of concepts based on the set of 10 principles for the project that originated a matrix as a tool to aid designing products. The concrete definition of a target audience was equally important. At this stage, the collaboration of other experts in the fields of psychology and sociology as disciplines with particular ability to understand individuals and social phenomena respectively was crucial. It was concluded that a product design to honor someone post mortem, should abandon the more traditional habits and customs to focus on identifying new audiences. Although at present it can be considered a niche market, it is believed that in the future may grow as well as their interest in this type of products.
Next to the piece, the page also holds materials data:
********
Entry 1:
Calculated powder XRD pattern
Compound: Ga3Bi5Cl12
Radiation: Cu Ka
Structure: a cell relaxed with PBE
Lines closer than 0.1° are merged.

Largest 10 diffraction maxima, sorted by position, 5 to 70 degrees two-theta:
2θ = 10.19°, I = 100; 2θ = 14.74°, I = 21; 2θ = 17.95°, I = 34; 2θ = 22.78°, I = 17; 2θ = 26.71°, I = 16; 2θ = 30.17°, I = 21; 2θ = 30.91°, I = 44; 2θ = 34.15°, I = 16; 2θ = 34.39°, I = 17; 2θ = 43.86°, I = 17

Cell and atoms:
Cell: 12.0176 12.0176 31.5138 Å, 90.00 90.00 120.00°
Space group R-3c (No. 167, hexagonal axes)
One atom of each set of equivalent atoms:
Ga  0.0000  0.4633  0.2500
Bi  0.0000  0.0000  0.1753
Bi  0.0000  0.1617  0.7500
Cl  0.0086  0.4365  0.6930
Cl  0.0646  0.2286  0.9074


Entry 2:
Calculated powder XRD pattern
Compound: Ga2Bi4Cl3
Radiation: Cu Ka
Structure: a cell relaxed with PBE
Lines closer than 0.1° are merged.

Largest 10 diffraction maxima, sorted by position, 5 to 70 degrees two-theta:
2θ = 9.60°, I = 23; 2θ = 12.86°, I = 41; 2θ = 15.14°, I = 24; 2θ = 20.64°, I = 24; 2θ = 21.55°, I = 26; 2θ = 25.40°, I = 100; 2θ = 27.19°, I = 30; 2θ = 27.40°, I = 25; 2θ = 38.72°, I = 27; 2θ = 41.42°, I = 28

Cell and atoms:
Cell: 14.259 12.399 6.802 Å, 90.00 105.07 90.00°
Space group C2/c (No. 15)
One atom of each set of equivalent atoms:
Ga  0.202  0.120  0.153
Bi  0.117  0.270  0.853
Bi  0.182  0.103  0.554
Cl  0.000  0.064  0.250
Cl  0.129  0.390  0.253


Entry 3:
Calculated powder XRD pattern
Compound: Ge3BiCl9
Radiation: Cu Ka
Structure: a cell relaxed with PBE
Lines closer than 0.1° are merged.

Largest 10 diffraction maxima, sorted by position, 5 to 70 degrees two-theta:
2θ = 11.01°, I = 23; 2θ = 14.06°, I = 21; 2θ = 15.30°, I = 100; 2θ = 19.46°, I = 34; 2θ = 19.70°, I = 23; 2θ = 21.12°, I = 37; 2θ = 21.71°, I = 18; 2θ = 23.03°, I = 33; 2θ = 28.92°, I = 23; 2θ = 30.07°, I = 19

Cell and atoms:
Cell: 16.376 9.821 13.308 Å, 90.00 121.45 90.00°
Space group Cc (No. 9)
One atom of each set of equivalent atoms:
Ge  0.000  0.006  0.000
Ge  0.046  0.316  0.836
Ge  0.366  0.148  0.482
Bi  0.228  0.361  0.680
Cl  0.046  0.464  0.974
Cl  0.111  0.110  0.673
Cl  0.124  0.125  0.987
Cl  0.192  0.404  0.867
Cl  0.232  0.253  0.493
Cl  0.321  0.418  0.222
Cl  0.372  0.231  0.826
Cl  0.404  0.015  0.119
Cl  0.483  0.315  0.620


Entry 4:
Calculated powder XRD pattern
Compound: GeBi2PCl
Radiation: Cu Ka
Structure: a cell relaxed with PBE
Lines closer than 0.1° are merged.

Largest 10 diffraction maxima, sorted by position, 5 to 70 degrees two-theta:
2θ = 18.96°, I = 76; 2θ = 22.45°, I = 41; 2θ = 29.55°, I = 100; 2θ = 31.96°, I = 77; 2θ = 37.42°, I = 59; 2θ = 45.83°, I = 28; 2θ = 50.01°, I = 27; 2θ = 50.84°, I = 42; 2θ = 55.47°, I = 35; 2θ = 61.32°, I = 24

Cell and atoms:
Cell: 5.601 5.601 4.681 Å, 90.00 90.00 90.00°
Space group P4/mmm (No. 123)
One atom of each set of equivalent atoms:
Ge  0.000  0.000  0.000
Bi  0.000  0.500  0.000
P  0.000  0.000  0.500
Cl  0.500  0.500  0.500


Entry 5:
********
Within this booklet, teachers will find instructional resources covering a wide array of genres, including, dance, choral music, general music, instrumental music, media arts, theatre, and the visual arts. These lesson plans are explicitly designed to integrate artistic expression and comprehension with other academic disciplines, such as English, History, and Social Studies. Each submission highlights the grade level, artistic genre, sources, learning objectives, instructional plans, and modes of evaluation. This Arts Integration Supplement to the Teacher’s Guide to African American Historic Places in South Carolina outlines 22 lesson plans that meet the 2010 Visual and Performing Arts Standards of South Carolina and integrates the arts into classroom instruction. Where applicable, other standards, such as those for math and social studies, are listed with each lesson plan. The teaching activities in this supplement are provided to aid in the development of lesson plans or to complement existing lessons. Teaching activities are the simplest means of integrating art in classroom instruction.
La littérature démontre qu'entre le cinquième et les trois quarts des enfants placés se déplacent d'un milieu d'hébergement à un autre au fil de leur parcours de placements. Cette accumulation de déplacements devient une pente glissante vers l'instabilité et risque de compromettre leur bien-être. L'objectif général de cette thèse par article est de mieux décrire et comprendre l'instabilité des parcours de placements et ses liens avec les comportements, cognitions et émotions chez les adolescentes placées en contexte de réadaptation. Le premier article vise à identifier les parcours de placements des adolescentes placées en centres de réadaptation, et ce, depuis leur tout premier placement. Trois parcours de placements ont été identifiés chez les 315 adolescentes qui composent l'échantillon : un parcours à faible cumul de changements, un parcours à cumul de changements relationnels et un parcours à cumul de changements physiques. Le parcours à faible cumul de changements est emprunté par quatre adolescentes sur cinq (80,65 %) et a été qualifié ainsi puisque l'ensemble des indicateurs pour ce profil se situe sous la moyenne de l'échantillon. Les deux parcours de placements qui cumulent le plus de changements représentent quant à eux une adolescente sur cinq. D'abord, le parcours à cumul de changements relationnels (13%) se qualifie ainsi par l'ampleur du nombre d'intervenants qui ont été, tour à tour, responsables du dossier des adolescentes de ce profil. Celles-ci cumulent en moyenne 10 intervenants responsables, les plaçant bien au-dessus de la moyenne de l'échantillon. Enfin, le parcours à cumul de changements physiques (6,35 %) se caractérise par l'ampleur du nombre de déplacements cumulés (placements et sorties infructueuses de placement). En tout, près de 20 déplacements ont été cumulés chez les adolescentes de ces parcours, les situant très au-dessus de la moyenne de l'échantillon. Le deuxième article a pour but d'évaluer les liens d’association entre les parcours de placements et les problèmes de comportement des adolescentes. Nous avons étudié plusieurs problèmes de comportement spécifiques, soient l'agression, les vols, la consommation de substances psychoactives, la fréquentation de membres de gang et la prostitution. Cet article établit une association entre le fait d'avoir emprunté un parcours de cumul de changements physiques et la fréquence de l'engagement dans la prostitution (B = .648; p = 0.001) sur une période de 18 mois, et ce, peu importe l'âge des adolescentes. Le troisième article de cette thèse vise à comprendre le sens accordé au parcours de placements et à l'instabilité chez 15 jeunes femmes quelques années après leur sortie de placement. Les résultats pointent vers trois manières d'expérimenter l'instabilité en placement selon le niveau de pouvoir d'agir perçu au fil du parcours. Ainsi, alors que certaines jeunes femmes expliquent avoir surtout observé l'instabilité en placement, d'autres affirment l'avoir subie, et d'autres précisent l'avoir provoquée, surtout à travers leurs nombreuses fugues. Les bouleversements psychologiques, soient cognitifs et émotionnels qui ressortent de ces diverses perceptions de l'instabilité diffèrent et soulignent l'importance de la notion du pouvoir d'agir dans l'expérience de l'instabilité en placement. En somme, cette thèse suggère qu’une description plus holistique des parcours de placements exige d’aller au-delà de la mesure de ce seul indicateur en prenant en compte les placements dans leur globalité. Elle propose également de décloisonner la mesure de problèmes de comportement pour mesurer des comportements spécifiques plutôt que la propension générale aux problèmes de comportement. Enfin, la multiplication des points de vue à travers notre étude qualitative permet de mieux comprendre le sens que prend l'instabilité en placement chez les jeunes ainsi que ses répercussions cognitives et émotionnelles.